These are the one the Governing Body of Jehovah's witnesses(R) protect at all costs whereas non perverts are left to the dogs.
Convicted paedophile allowed to grill his victims at Jehovah's Witness meeting
by Sapphy 74 Replies latest watchtower child-abuse
It’s understood Rose was finally ‘disfellowshipped’ after complaints to the police and Charity Commision.
That really says a lot about JWs.
How much more evidence do we need of the Watchtower's godlessness and evil heart?
(Ephesians 2:2) . . .the spirit that now operates in the sons of disobedience (those who disobey "the truth of the Good News", accumulate followers, take them captive, starve them spiritually, and abuse them spiritually).
I had to endure the trauma of relating my tale of sexual abuse by elder/step-creep before a panel of three crusty elders when I was 10 years old. i was not allowed to have my mother with me. I was asked to describe the abuse in detail which I did. The question that really shut me down emotionally was "Are you sure he wasn't just showing you fatherly affection?" I realized with that question they didn't believe a word I said...of course they did nothing to the creep. He went on to molest both my sisters and had already been accused of molesting my babysitter. I lobbied for years to bring this animal to JW justice as I was comvinced by my mother and elders that we could not involve the police. When I was in my 20s this animal was finally dfd for the abuse because my one sister finally agreed to speak to elders. It was too late to involve the police by then. He was reinstated a mere year or two to continue molesting in a congregation in NC.
The trauma of meeting the elders twice was as bad as the actual abuse. My heart goes out to these victims...and how they were made to participate in this kangaroo court.
Teary Oberon
To my knowledge, not a single one of the 3 women was still a Witness at the time of the meeting. The original accuser from 1995 that had her claims rejected by a jury was said to have left the congregation immediatley after, along with her family. The second girl's family was claimed by Cedars to no longer be Witnesses, so it is likely that she wasn't either. The third girl was DF'ed for drinking, sex and running wild before the second trial concluded. so how exactly can anyone make the claim that they were 'coerced' or 'forced' into attending? It is a bunch of nonsense.
Between two parts of the text: calculated crystals:
┌──
1.
Entry from the Materials Project: an optimized crystal structure of LiSbN2 (PBE-GGA).

abc: 5.9624 12.1372 15.1507
angles: 90.00 90.00 90.00
Closest atoms and distances in Å follow each position.
Fractional coordinates of all 64 atoms:
1 N 0.7820 0.4615 0.3061  2 Li 2.03-2.05, 2 Sb 2.06-2.08
2 N 0.2820 0.0385 0.6939  2 Li 2.03-2.05, 2 Sb 2.06-2.08
3 N 0.5853 0.7856 0.7264  2 Sb 1.99-2.00, 1 Li 2.08
4 N 0.2046 0.0468 0.9615  1 Li 2.02, 2 Sb 2.03-2.06
5 N 0.2954 0.5468 0.9615  1 Li 2.02, 2 Sb 2.03-2.06
6 N 0.7954 0.9532 0.0385  1 Li 2.02, 2 Sb 2.03-2.06
7 N 0.7210 0.2911 0.4372  2 Li 2.02-2.14, 2 Sb 2.03-2.05
8 N 0.2790 0.7911 0.0628  2 Li 2.02-2.14, 2 Sb 2.03-2.05
9 N 0.2180 0.9615 0.1939  2 Li 2.03-2.05, 2 Sb 2.06-2.08
10 N 0.2180 0.5385 0.6939  2 Li 2.03-2.05, 2 Sb 2.06-2.08
11 N 0.7954 0.5468 0.5385  1 Li 2.02, 2 Sb 2.03-2.06
12 N 0.2790 0.7089 0.5628  2 Li 2.02-2.14, 2 Sb 2.03-2.05
13 N 0.7820 0.0385 0.8061  2 Li 2.03-2.05, 2 Sb 2.06-2.08
14 N 0.2820 0.4615 0.1939  2 Li 2.03-2.05, 2 Sb 2.06-2.08
15 N 0.2046 0.4532 0.4615  1 Li 2.02, 2 Sb 2.03-2.06
16 N 0.7046 0.4532 0.0385  1 Li 2.02, 2 Sb 2.03-2.06
17 N 0.0853 0.7144 0.2736  2 Sb 1.99-2.00, 1 Li 2.08
18 N 0.7180 0.9615 0.3061  2 Li 2.03-2.05, 2 Sb 2.06-2.08
19 N 0.4147 0.2144 0.2736  2 Sb 1.99-2.00, 1 Li 2.08
20 N 0.7180 0.5385 0.8061  2 Li 2.03-2.05, 2 Sb 2.06-2.08
21 N 0.9147 0.2144 0.2264  2 Sb 1.99-2.00, 1 Li 2.08
22 N 0.7790 0.7911 0.4372  2 Li 2.02-2.14, 2 Sb 2.03-2.05
23 N 0.5853 0.7144 0.2264  2 Sb 1.99-2.00, 1 Li 2.08
24 N 0.7046 0.0468 0.5385  1 Li 2.02, 2 Sb 2.03-2.06
25 N 0.7210 0.2089 0.9372  2 Li 2.02-2.14, 2 Sb 2.03-2.05
26 N 0.9147 0.2856 0.7264  2 Sb 1.99-2.00, 1 Li 2.08
27 N 0.2954 0.9532 0.4615  1 Li 2.02, 2 Sb 2.03-2.06
28 N 0.7790 0.7089 0.9372  2 Li 2.02-2.14, 2 Sb 2.03-2.05
29 N 0.2210 0.2911 0.0628  2 Li 2.02-2.14, 2 Sb 2.03-2.05
30 N 0.0853 0.7856 0.7736  2 Sb 1.99-2.00, 1 Li 2.08
31 N 0.2210 0.2089 0.5628  2 Li 2.02-2.14, 2 Sb 2.03-2.05
32 N 0.4147 0.2856 0.7736  2 Sb 1.99-2.00, 1 Li 2.08
33 Sb 0.3042 0.7956 0.1980  4 N 1.99-2.08
34 Sb 0.6347 0.9431 0.4373  4 N 2.03-2.06
35 Sb 0.6958 0.2044 0.8020  4 N 1.99-2.08
36 Sb 0.6347 0.5569 0.9373  4 N 2.03-2.06
37 Sb 0.8042 0.7044 0.8020  4 N 1.99-2.08
38 Sb 0.1347 0.9431 0.0627  4 N 2.03-2.06
39 Sb 0.8042 0.7956 0.3020  4 N 1.99-2.08
40 Sb 0.3653 0.0569 0.5627  4 N 2.03-2.06
41 Sb 0.3042 0.7044 0.6980  4 N 1.99-2.08
42 Sb 0.6958 0.2956 0.3020  4 N 1.99-2.08
43 Sb 0.1958 0.2044 0.6980  4 N 1.99-2.08
44 Sb 0.8653 0.0569 0.9373  4 N 2.03-2.06
45 Sb 0.1958 0.2956 0.1980  4 N 1.99-2.08
46 Sb 0.3653 0.4431 0.0627  4 N 2.03-2.06
47 Sb 0.1347 0.5569 0.5627  4 N 2.03-2.06
48 Sb 0.8653 0.4431 0.4373  4 N 2.03-2.06
49 Li 0.6153 0.6855 0.5174  3 N 2.02-2.14
50 Li 0.6153 0.8145 0.0174  3 N 2.02-2.14
51 Li 0.9804 0.4485 0.7601  3 N 2.03-2.08
52 Li 0.1153 0.6855 0.9826  3 N 2.02-2.14
53 Li 0.4804 0.0515 0.2399  3 N 2.03-2.08
54 Li 0.5196 0.9485 0.7601  3 N 2.03-2.08
55 Li 0.0196 0.5515 0.2399  3 N 2.03-2.08
└──
Here the text continues:
All three attended entirely voluntarily. I do not think they nor anyone else has a right to complain about their own free choices, especially the first girl who a jury agreed was making up her claims anyways.
OMG! Where is the compassion????? Why didn't the elders just get the court transcripts and READ them!!?!?!?!?!?!?!!?!?!?!?
OMG! Where is the compassion????? Why didn't the elders just get the court transcripts and READ them!!?!?!?!?!?!?!!?!?!?!?.....4thgen
Aunt Fancy
This is beyond disgusting! Eight ignorant elders sat there and questioned them instead of taking the court records and keeping this creep out of the KH And protecting the children. How do these men sleep at night knowing what they did to these girls. When you think you have heard it all something like this comes up and there is no doubt that it is a wicked cult. Jehovah's Witnesses wake up!!
- - -
No. 1
# Cs3HSe2O8

A relaxed structure of Cs3HSe2O8 (PBE, Materials Project).

Unit cell a=11.089 b=6.512 c=8.681 alpha=90.00 beta=111.82 gamma=90.00
Space group C2/m (No. 12)
Asymmetric unit:
1 Cs 0.000 0.000 0.000 (multiplicity 2)
2 Cs 0.198 0.000 0.610 (multiplicity 4)
3 H 0.000 0.500 0.000 (multiplicity 2)
4 Se 0.071 0.500 0.766 (multiplicity 4)
5 O 0.015 0.288 0.309 (multiplicity 8)
6 O 0.103 0.500 0.978 (multiplicity 4)
7 O 0.213 0.500 0.742 (multiplicity 4)

Summary:
* ΔE_f: -1664 meV/atom



No. 2
# LuCoC

A relaxed structure of LuCoC (PBE, Materials Project).

Unit cell a=3.451 b=3.464 c=3.611 alpha=90.00 beta=90.00 gamma=90.00
Space group Pmmm (No. 47)
Asymmetric unit:
1 Lu 0.000 0.000 0.000 (multiplicity 1)
2 Co 0.500 0.500 0.500 (multiplicity 1)
3 C 0.500 0.500 0.000 (multiplicity 1)

Summary:
* ΔE_f: -309 meV/atom



No. 3
# ZnSb2O4

A relaxed structure of ZnSb2O4 (PBE, Materials Project).

Unit cell a=5.980 b=6.045 c=21.159 alpha=92.49 beta=94.67 gamma=112.58
Space group P1 (No. 1)
Asymmetric unit:
1 Zn 0.000 0.000 0.000 (multiplicity 1)
2 Zn 0.034 0.012 0.662 (multiplicity 1)
3 Zn 0.087 0.049 0.216 (multiplicity 1)
4 Zn 0.372 0.717 0.347 (multiplicity 1)
5 Zn 0.454 0.711 0.569 (multiplicity 1)
6 Zn 0.757 0.318 0.934 (multiplicity 1)
7 Sb 0.045 0.487 0.089 (multiplicity 1)
8 Sb 0.159 0.338 0.809 (multiplicity 1)
9 Sb 0.381 0.178 0.466 (multiplicity 1)
10 Sb 0.412 0.853 0.726 (multiplicity 1)
11 Sb 0.425 0.706 0.956 (multiplicity 1)
12 Sb 0.500 0.626 0.202 (multiplicity 1)
13 Sb 0.550 0.051 0.088 (multiplicity 1)
14 Sb 0.694 0.314 0.322 (multiplicity 1)
15 Sb 0.701 0.430 0.692 (multiplicity 1)
16 Sb 0.808 0.754 0.845 (multiplicity 1)
17 Sb 0.885 0.240 0.539 (multiplicity 1)
18 Sb 0.919 0.684 0.449 (multiplicity 1)
19 O 0.026 0.029 0.432 (multiplicity 1)
20 O 0.048 0.545 0.381 (multiplicity 1)
21 O 0.048 0.750 0.720 (multiplicity 1)
22 O 0.099 0.062 0.865 (multiplicity 1)
23 O 0.164 0.354 0.018 (multiplicity 1)
24 O 0.241 0.359 0.552 (multiplicity 1)
25 O 0.272 0.900 0.011 (multiplicity 1)
26 O 0.308 0.848 0.499 (multiplicity 1)
27 O 0.381 0.804 0.259 (multiplicity 1)
28 O 0.387 0.314 0.246 (multiplicity 1)
29 O 0.397 0.075 0.660 (multiplicity 1)
30 O 0.487 0.643 0.663 (multiplicity 1)
31 O 0.501 0.072 0.382 (multiplicity 1)
32 O 0.616 0.569 0.371 (multiplicity 1)
33 O 0.627 0.986 0.906 (multiplicity 1)
34 O 0.674 0.845 0.035 (multiplicity 1)
35 O 0.709 0.332 0.037 (multiplicity 1)
36 O 0.773 0.648 0.935 (multiplicity 1)
37 O 0.818 0.940 0.583 (multiplicity 1)
38 O 0.826 0.439 0.610 (multiplicity 1)
39 O 0.848 0.752 0.231 (multiplicity 1)
40 O 0.935 0.187 0.136 (multiplicity 1)
41 O 0.938 0.191 0.731 (multiplicity 1)
42 O 0.944 0.470 0.850 (multiplicity 1)

Summary:
* ΔE_f: -1621 meV/atom



Which formula does entry 1 have? Cs3HSe2O8

~~~~~

No. 1
# KPb2Cl5, relaxed, DFT PBE
data_KPb2Cl5
_space_group_name_H-M_alt 'P 1'
_space_group_IT_number 1
_space_group_name_Hall 'P 1'
_cell_length_a 8.991
_cell_length_b 8.126
- - -
Teary Oberon
Could you post the source of your information please?
LoisLane looking for Superman
FreeGirl2006... I am so sorry for what you have endured. How are you doing?
-- begin --
--- w ---
{"formula": "LiFe2B2O6", "functional": "PBE with a Hubbard U", "state": "relaxed", "m_tot_mub_per_fu": 9.0, "spacegroup": "P1 (1)", "lattice_angstrom": [[5.2862, 0.0000, 0.0000], [0.0430, 9.0892, 0.0000], [0.1736, 0.1297, 10.0712]], "species": ["Li", "Li", "Li", "Li", "Fe", "Fe", "Fe", "Fe", "Fe", "Fe", "Fe", "Fe", "B", "B", "B", "B", "B", "B", "B", "B", "O", "O", "O", "O", "O", "O", "O", "O", "O", "O", "O", "O", "O", "O", "O", "O", "O", "O", "O", "O", "O", "O", "O", "O"], "fractional_positions": [[0.0000, 0.0000, 0.0000], [0.0099, 0.9743, 0.5062], [0.4930, 0.4983, 0.9859], [0.8052, 0.4791, 0.2509], [0.3119, 0.3143, 0.2199], [0.3238, 0.6545, 0.7114], [0.4917, 0.8326, 0.9672], [0.4973, 0.1525, 0.4714], [0.8120, 0.1562, 0.7181], [0.8120, 0.8220, 0.2215], [0.9929, 0.3348, 0.9586], [0.9940, 0.6354, 0.4758], [0.3182, 0.6505, 0.2154], [0.3198, 0.3217, 0.7180], [0.4878, 0.1576, 0.9676], [0.4918, 0.8233, 0.4678], [0.8170, 0.1586, 0.2120], [0.8191, 0.8159, 0.7162], [0.9845, 0.3137, 0.4608], [0.9908, 0.6599, 0.9734], [0.0627, 0.6604, 0.2528], [0.0682, 0.2997, 0.7565], [0.2330, 0.3062, 0.4133], [0.2433, 0.6583, 0.9295], [0.3489, 0.0331, 0.9682], [0.3626, 0.9518, 0.4692], [0.3764, 0.6929, 0.5124], [0.3802, 0.2908, 0.0126], [0.4240, 0.4574, 0.7246], [0.4337, 0.5144, 0.2018], [0.4595, 0.7751, 0.1859], [0.4640, 0.2010, 0.6800], [0.5753, 0.1773, 0.2607], [0.5750, 0.7946, 0.7642], [0.7436, 0.1569, 0.9238], [0.7502, 0.8181, 0.4225], [0.8478, 0.4393, 0.4462], [0.8506, 0.5343, 0.9799], [0.8810, 0.7943, 0.0154], [0.8821, 0.1828, 0.5153], [0.9131, 0.9550, 0.6996], [0.9191, 0.0222, 0.1954], [0.9544, 0.2861, 0.1777], [0.9669, 0.6950, 0.6820]]}

--- x ---
-- stop --
As to the OP, I am speechless, and my heart is heavy for these abused persons.